**File**
# SmGa2SiTc2
Theoretical PXRD pattern, Cu Ka. Input: a cell relaxed with GGA-PBE.

Peak list (10 most intense, 10° ≤ 2θ ≤ 80°, low angle first)
- (1 0 1), 2θ 25.34, intensity 19
- (0 0 2), 2θ 31.85, intensity 13
- (1 1 1), 2θ 32.31, intensity 100
- (1 0 2), 2θ 37.73, intensity 61
- (2 0 0), 2θ 40.04, intensity 68
- (2 0 2), 2θ 52.05, intensity 13
- (2 1 2), 2θ 56.19, intensity 38
- (1 1 3), 2θ 57.04, intensity 14
- (2 2 0), 2θ 57.92, intensity 23
- (3 1 1), 2θ 67.90, intensity 23

Atomic structure:
a = 4.5032 Å, b = 4.5032 Å, c = 5.6202 Å
α = 90.00°, β = 90.00°, γ = 90.00°
Space group P4/mmm (No. 123)
Symmetry-distinct sites (fractional):
Sm (0.0000, 0.0000, 0.0000) [1 per cell]
Ga (0.5000, 0.5000, 0.2360) [2 per cell]
Si (0.0000, 0.0000, 0.5000) [1 per cell]
Tc (0.0000, 0.5000, 0.5000) [2 per cell]

---

# SrGaSi2
Theoretical PXRD pattern, Cu Ka. Input: a cell relaxed with GGA-PBE.

Peak list (10 most intense, 10° ≤ 2θ ≤ 80°, low angle first)
- (0 0 2), 2θ 21.94, intensity 13
- (1 1 1), 2θ 28.03, intensity 100
- (1 0 2), 2θ 30.31, intensity 16
- (0 2 0), 2θ 30.67, intensity 11
- (0 1 3), 2θ 36.68, intensity 13
- (0 2 2), 2θ 38.03, intensity 32
- (2 0 0), 2θ 42.00, intensity 16
- (1 1 3), 2θ 42.45, intensity 21
- (1 3 1), 2θ 52.91, intensity 22
- (2 2 2), 2θ 57.94, intensity 18

Atomic structure:
a = 4.3022 Å, b = 5.8304 Å, c = 8.1013 Å
α = 90.00°, β = 90.00°, γ = 90.00°
Space group Amm2 (No. 38)
Symmetry-distinct sites (fractional):
Sr (0.0000, 0.0000, 0.0000) [2 per cell]
Ga (0.5000, 0.0000, 0.5701) [2 per cell]
Si (0.5000, 0.1971, 0.2833) [4 per cell]

---

# Sr3Ga2Si3
Theoretical PXRD pattern, Cu Ka. Input: a cell relaxed with GGA-PBE.

Peak list (10 most intense, 10° ≤ 2θ ≤ 80°, low angle first)
- (1 1 2), 2θ 24.70, intensity 17
- (1 3 0), 2θ 30.83, intensity 100
- (1 1 4), 2θ 31.49, intensity 83
- (0 0 6), 2θ 33.61, intensity 28
- (0 4 4), 2θ 37.92, intensity 34
- (1 3 4), 2θ 38.34, intensity 17
- (2 0 0), 2θ 42.05, intensity 50
- (1 3 6), 2θ 46.25, intensity 31
- (2 0 6), 2θ 54.86, intensity 18
- (2 4 4), 2θ 57.90, intensity 19

Atomic structure:
a = 4.2974 Å, b = 11.7900 Å, c = 15.9975 Å
α = 90.00°, β = 90.00°, γ = 90.00°
Space group Cmcm (No. 63)
Symmetry-distinct sites (fractional):
Sr (0.0000, 0.0313, 0.2500) [4 per cell]
Sr (0.0000, 0.3405, 0.0942) [8 per cell]
Ga (0.0000, 0.3699, 0.6179) [8 per cell]
Si (0.0000, 0.0695, 0.0523) [8 per cell]
Si (0.0000, 0.2505, 0.7500) [4 per cell]

---

# Sr2GaSi3
Theoretical PXRD pattern, Cu Ka. Input: a cell relaxed with GGA-PBE.

Peak list (10 most intense, 10° ≤ 2θ ≤ 80°, low angle first)
- (2 0 2), 2θ 24.64, intensity 13
- (2 2 2), 2θ 31.25, intensity 100
- (0 2 4), 2θ 31.41, intensity 50
- (0 4 0), 2θ 38.39, intensity 24
- (4 0 0), 2θ 43.25, intensity 17
- (2 0 6), 2θ 43.61, intensity 33
- (4 2 4), 2θ 54.42, intensity 20
- (4 4 0), 2θ 59.19, intensity 13
- (2 4 6), 2θ 59.48, intensity 26
- (0 6 4), 2θ 65.03, intensity 17

Atomic structure:
a = 8.3671 Å, b = 9.3800 Å, c = 14.3401 Å
α = 90.00°, β = 90.00°, γ = 90.00°
Space group Fmmm (No. 69)
Symmetry-distinct sites (fractional):
Sr (0.0000, 0.2470, 0.0000) [8 per cell]
Sr (0.2500, 0.2500, 0.2500) [8 per cell]
Ga (0.0000, 0.0000, 0.3339) [8 per cell]
Si (0.0000, 0.0000, 0.1640) [8 per cell]
Si (0.2469, 0.0000, 0.0826) [16 per cell]

---

# Sr3Ga3Si
Theoretical PXRD pattern, Cu Ka. Input: a cell relaxed with GGA-PBE.

Peak list (10 most intense, 10° ≤ 2θ ≤ 80°, low angle first)
- (1 1 2), 2θ 26.18, intensity 15
- (4 0 -2), 2θ 29.50, intensity 19
- (3 1 -1), 2θ 30.10, intensity 100
- (1 1 -4), 2θ 30.86, intensity 60
- (3 1 -4), 2θ 34.56, intensity 19
- (4 0 -5), 2θ 35.99, intensity 25
- (3 1 2), 2θ 36.28, intensity 40
- (0 0 6), 2θ 37.03, intensity 20
- (0 2 0), 2θ 41.14, intensity 33
- (7 1 -3), 2θ 57.11, intensity 22

Atomic structure:
a = 12.1385 Å, b = 4.3884 Å, c = 15.4310 Å
α = 90.00°, β = 109.27°, γ = 90.00°
Space group C2/m (No. 12)
Symmetry-distinct sites (fractional):
Sr (0.0160, 0.0000, 0.3886) [4 per cell]

**Assignment**
Next, count the lines further above that contain the word "SmGa2SiTc2" and give the number alone.

**Outcome**
1